Entries.
{
  "formula": "C72H144N8O8",
  "method": "ωB97M-V with the def2-TZVPD basis set",
  "largest_force_ha_per_bohr": 0.112,
  "mol_weight_da": 1250.0,
  "lumo_energy_ev": [0.245, -0.493],
  "multiplicity": 9,
  "energy_ha": -3868.9479,
  "de_lowest_kj_mol": 458.27,
  "symbols": ["C", "C", "C", "C", "C", "C", "N", "O", "C", "C", "C", "H", "H", "H", "H", "H", "H", "H", "H", "H", "H", "H", "H", "H", "H", "H", "H", "H", "H", "C", "C", "C", "C", "C", "C", "N", "O", "C", "C", "C", "H", "H", "H", "H", "H", "H", "H", "H", "H", "H", "H", "H", "H", "H", "H", "H", "H", "H", "C", "C", "C", "C", "C", "C", "N", "O", "C", "C", "C", "H", "H", "H", "H", "H", "H", "H", "H", "H", "H", "H", "H", "H", "H", "H", "H", "H", "H", "C", "C", "C", "C", "C", "C", "N", "O", "C", "C", "C", "H", "H", "H", "H", "H", "H", "H", "H", "H", "H", "H", "H", "H", "H", "H", "H", "H", "H", "C", "C", "C", "C", "C", "C", "N", "O", "C", "C", "C", "H", "H", "H", "H", "H", "H", "H", "H", "H", "H", "H", "H", "H", "H", "H", "H", "H", "H", "C", "C", "C", "C", "C", "C", "N", "O", "C", "C", "C", "H", "H", "H", "H", "H", "H", "H", "H", "H", "H", "H", "H", "H", "H", "H", "H", "H", "H", "C", "C", "C", "C", "C", "C", "N", "O", "C", "C", "C", "H", "H", "H", "H", "H", "H", "H", "H", "H", "H", "H", "H", "H", "H", "H", "H", "H", "H", "C", "C", "C", "C", "C", "C", "N", "O", "C", "C", "C", "H", "H", "H", "H", "H", "H", "H", "H", "H", "H", "H", "H", "H", "H", "H", "H", "H", "H"],
What to do.
The reader should quote the rows further up from the first line to the one with "de_lowest_kj_mol" without additions.
Worked solution.
{
  "formula": "C72H144N8O8",
  "method": "ωB97M-V with the def2-TZVPD basis set",
  "largest_force_ha_per_bohr": 0.112,
  "mol_weight_da": 1250.0,
  "lumo_energy_ev": [0.245, -0.493],
  "multiplicity": 9,
  "energy_ha": -3868.9479,
  "de_lowest_kj_mol": 458.27,